Version 4 (modified by 7 years ago) ( diff ) | ,
Caution of Warning.
This page describe how a user can define a model following the MadGraph4 convention. Such type of model even if still working in 2017 are not supported anymore and do not support most of the most recent capabilities of MG5aMC. We also plan to fully remove the support of such model in future version of the code.
We strongly suggest to implement model following the UFO format.
UserModel v4
This text file will instruct you about what to do
step by step in order to use the "user mode" of madgraph.
All you need is in Model/usrmod directory.
What you can see here is
- Three ".dat" files you'll have to edit to enter
your own model...
- A directory wich contains part of files that will be used to create
".f" and ".inc" files needed by madgraph; this directory
is called Header_and_footer... you don't need to care about this
The perl script wich mix information from Header_and_footer
files and from .dat files...
- testprog.f
a little code that permti to check directly if all values
printed are the ones defined in param_card.dat.
- couplingsvalue.f
Slightly the same role than testprog.f vut produce a text file
containing in a table the list of couplings and their values
To do things properly, make your own usermod directory to let the
original one intact, let' say you call it "z_prime"
- Editing the .dat files.
- particles.dat
This file lists all particles of the model.
The basis used here is Standard Model particles.
There are two very important tags you have to take into account:
Any new particle you want to use has to be described between those ones.
For example if you need a Z' you may write like the following:
ATTENTION: use space instead of TAB between chars...
The two first columns indicate particle and anti-particle names
The third is about particles type (Vector, Fermion or Scalar)
The fourth say how madgraph has to represent it on Feynman diagrams.
The fifth gives the variable name for the mass (max. 7 char.)
The sixth gives the variable name for the width (max.7 char.)
The seventh say if particles color type is singlet (S), triplet (T), or octet (O).
The eigth gives the label name in Feynman diagrams.
and finally the last one is the PDGCode of the particle.
ABOUT PDGCODE: For new kind of particle that do not possess PDG Code you can enter the number you want, just ensure it is not yet used. Note that some code use a 7 digit convention for generic particle: So avoid using 7 digit number as well if you do not plan to follow such convention.
Now once the new particles are entered, we have to deal with interactions.
So let's move on to interaction.dat file
- interaction.dat
As you can see, all Standard Model vertices are listed by type.
At the end of the file you can find the USRVertex part wich is the one
you have to edit.
You can do like te following:
# USRVertex
zp zp z GNNZ QED
wich gives the vertex name (you choose the one you want - madgraph is
full of freedom!) and type (QED) for Z'Z'Z interaction.
ABOUT INTERACTION NAME: Pay attention to the fact that interactions f' f s and f f' s are different...and therefore need two differents names! like for example: gfpfs and gffps...
Ok this is fine but you still have to give the name of all parameters
that will have to be used in all vertices definitions.
- VariableName.dat
Suppose you need an exotic coupling like:
GNNZ= param1/(param2*2)sqrt(param3)
The way to declare you paramaters is very simple: do it like the following:
write this:
param1 #comment for the first param
param2 #comment for second param
param3 #comment for third param
in VariableName.dat... that's all. This will permit to declare
parameters in file, and write comments in param_card.dat
Obviously, you cannot declare parameter that are already existing in
particle.dat like masses and width, nor ones declared in
Header_and_Footer/coupl_header file...
____________
(1)
Density functional theory data (ωB97M-V/def2-TZVPD) for 4 unconnected molecules or ions with the total composition C35H75N5O16P3 at a distorted geometry.

Output
* net charge: +1
* orbital gap: 7.05 eV

XYZ file:
```
134
C35H75N5O16P3 ωB97M-V/def2-TZVPD
P 2.108 0.700 -7.036
P -0.618 5.568 6.422
P 4.285 -6.641 -1.561
O -5.059 1.347 0.531
O 2.919 -0.467 -6.050
O -0.574 5.168 4.807
O -0.535 7.099 6.207
O 5.366 -5.905 -0.731
O -5.784 0.754 3.421
O 1.382 1.745 -7.919
O -1.587 -1.631 3.754
O 3.078 -7.463 -2.488
O -0.710 3.858 6.662
O 1.997 1.624 -5.649
O 3.649 1.160 -7.463
O -4.596 -1.263 3.953
O 3.092 -5.504 -1.329
O 1.018 5.404 6.716
O 4.843 -6.056 -3.022
N -3.745 1.385 0.571
N -1.917 3.109 -2.608
N -0.130 -3.224 -0.902
N -3.184 -1.044 -0.196
N -2.259 -0.013 1.943
C -2.131 5.015 -0.506
C -0.945 6.105 3.809
C 3.897 1.861 -8.671
C -1.326 3.549 8.984
C 0.786 2.282 -5.304
C -0.342 3.244 7.879
C 3.866 3.362 -8.435
C 2.303 -1.071 -4.932
C -1.616 -2.962 -1.009
C -2.899 3.920 0.495
C -0.126 1.385 -4.488
C 0.270 6.873 3.317
C 1.701 6.312 7.570
C -1.711 4.437 -1.967
C -5.637 1.004 -0.768
C 3.136 -4.608 -0.232
C -3.347 1.222 4.039
C 6.232 -6.042 -3.321
C -1.402 -4.128 3.881
C -3.068 2.431 -0.251
C -7.295 1.129 -0.580
C 3.940 -9.694 -2.866
C 3.837 -3.317 -0.622
C -3.024 0.105 0.773
C -1.948 -1.323 -1.015
C -2.122 1.139 2.959
C -4.595 0.197 3.783
C 6.682 -7.349 -3.950
C 3.403 -8.420 -3.473
C -0.582 -2.690 4.079
C -1.496 -1.281 2.329
C 1.643 5.868 9.020
C -2.597 2.080 -1.769
C 1.212 -2.033 -5.340
C -7.822 2.298 -1.653
H -1.959 2.182 2.456
H 6.144 -7.537 -4.885
H 0.677 3.509 8.156
H -7.021 3.181 -1.716
H 0.609 5.796 9.366
H 0.029 -4.215 -1.220
H 0.713 -2.438 -4.455
H 2.743 6.336 7.243
H 4.084 -8.002 -4.213
H -0.348 -1.022 2.127
H -8.815 2.815 -1.268
H -0.789 -4.993 4.375
H -2.013 -3.444 -2.024
H -3.268 4.158 1.578
H 3.963 -2.667 0.249
H 6.844 -5.822 -2.443
H -2.908 0.997 5.115
H 3.175 -10.176 -2.247
H 2.174 6.578 9.663
H -3.706 2.360 4.053
H -0.985 3.113 9.928
H 2.479 -8.646 -4.014
H 6.491 -8.191 -3.280
H -0.028 7.665 2.624
H 0.962 6.200 2.800
H -1.132 0.931 3.594
H 4.799 -9.499 -2.220
H -7.832 0.132 -0.923
H -1.731 6.775 4.172
H 4.693 3.662 -7.784
H 4.819 -3.499 -1.065
H 0.056 -3.257 0.144
H -1.375 5.543 2.974
H -1.053 1.908 -4.232
H 2.947 3.681 -7.936
H 3.252 -2.780 -1.376
H 3.603 -5.077 0.641
H -0.114 -2.576 5.147
H 4.240 -10.393 -3.652
H 3.954 3.904 -9.382
H 0.309 -2.729 3.315
H -0.331 2.165 7.701
H -2.781 1.012 -2.270
H 1.055 3.157 -4.710
H -3.487 -1.886 0.374
H -5.374 1.725 -1.651
H 3.194 1.556 -9.453
H -5.452 -0.089 -1.140
H -1.545 -4.271 2.710
H -2.310 3.132 8.745
H 3.083 -1.623 -4.399
H 0.252 2.655 -6.182
H 0.361 1.079 -3.556
H -1.457 4.624 9.118
H 1.323 7.333 7.478
H -7.599 1.486 0.496
H -2.468 -3.953 4.344
H -1.018 -0.765 -0.577
H -4.692 -1.393 4.962
H 1.943 -0.318 -4.232
H -0.382 0.479 -5.043
H -1.932 6.115 -0.126
H -2.161 -3.536 -0.147
H -1.129 5.228 -2.650
H 1.632 -2.865 -5.914
H 2.103 -4.382 0.051
H 7.753 -7.320 -4.173
H 4.895 1.575 -9.019
____________
Back to the article >
- Run the shell script ./
CAUTION: it will ask you wether you want to keep old couplings.f and
param_card.dat that you maybe changed in a previous run. The goam
here is to avoid to loose all changes you would have done before, in
other words: save you time and energy. In the case you answer by
"yes", old files are stored in the OldFiles directory, with an
- Look the results...
What did the perl script do?
It simply looked to what you entered in particles.dat,
interactions.dat and VariableName.dat and send those informations to, couplings.f,, printout.f, ident_card.dat,
lha_reading.f and param_card.dat.
What you still need to do now is to edit two files:
couplings.f and param_card.dat.
Let's see what we find in couplings.f:
Near the end of the file you see something like:
c UserMode couplings
Instead of 1d0 wich is obviously the default value you have to edit
the true couplings value you want...this is the hard work part for
you[[br]] If the coupling is of the form VVV then it is declared as double
precision (All declarations are made in
If the coupling is of the form VVSS, VVS, SSS, SSSS, VSS, VVV it is
declared as double complex and if the type is FFS or FFV, it is the
same thing BUT there is the separation between Vector and Axial part
a VVV interaction is written: gwwz = ee*cw/sw
a VVS interaction is written: gzzh = dcmplx( ee2/sc2*Half*v, Zero )
where the first term in parenthesis indicates the real part and the
second the imaginary.
a FFS interaction is written: ghtop(1) = dcmplx( -mtMS/v, Zero )
ghtop(2) = dcmplx( -mtMS/v, Zero )
To be sure to how to enter differents kind of vertices, check out the HELAS manual:
HELAS: HELicity Amplitude Subroutines for Feynman Diagram Evaluation
(Murayama,Watanabe,Hagiwara,Jan. 1992)
- Adapt param_card.dat to your business
Your masses and widths variables are automatically inserted in
param_card.dat. By default they are set at 100 and 1 GeV respectively.
Then you just have to change those ones for you convinience...
- Run the following to make a testprogram and check that everything
compiles and that the masses, widths and couplings are set as they
make testprog
make couplings
It will show you wether good values are assigned to good variables...
- Change the proc_card.dat to do the process you wish:
for example:
pp>zpzp #First Process
99 #Max QCD couplings
99 #Max QED couplings
With the model called z_prime
Now you're ready to generate the smatrix.
- Do ./bin/newprocess
- Now you can generate some events: ./bin/generate_events
Under construction
-- Main.JohanAlwall - 01 Aug 2007